# Contents
-- begin --
1.
DFT (PBE) results for PrSm5Bi6 after structural relaxation.

Unit cell a=7.921 b=7.920 c=7.921 alpha=60.00 beta=80.39 gamma=70.50
Fractional coordinates of all 12 atoms:
Pr1 0.000 0.000 0.000
Bi1 0.251 0.253 0.000
Sm1 0.000 0.667 0.666
Sm2 0.500 0.500 0.000
Bi2 0.748 0.084 0.336
Sm3 0.000 0.333 0.334
Bi3 0.252 0.580 0.336
Sm4 0.500 0.165 0.669
Sm5 0.500 0.835 0.331
Bi4 0.252 0.916 0.664
Bi5 0.748 0.420 0.664
Bi6 0.749 0.747 0.000

- formation energy (eV/atom) = -0.931
- theoretical density (g/cm3) = 8.79

2.
DFT (PBE) results for Pr3SmBi3 after structural relaxation.

Unit cell a=9.724 b=9.724 c=9.724 alpha=90.00 beta=90.00 gamma=90.00
Fractional coordinates of all 28 atoms:
Pr1 0.178 0.822 0.322
Pr2 0.179 0.179 0.179
Bi1 0.627 0.999 0.753
Bi2 0.501 0.247 0.127
Sm1 0.428 0.428 0.428
Pr3 0.431 0.569 0.069
Pr4 0.822 0.322 0.178
Pr5 0.322 0.178 0.822
Pr6 0.931 0.931 0.931
Bi3 0.247 0.127 0.501
Pr7 0.679 0.321 0.821
Pr8 0.678 0.678 0.678
Bi4 0.753 0.627 0.999
Bi5 0.999 0.753 0.627
Sm2 0.928 0.072 0.572
Bi6 0.127 0.501 0.247
Pr9 0.069 0.431 0.569
Pr10 0.321 0.821 0.679
Pr11 0.569 0.069 0.431
Sm3 0.572 0.928 0.072
Bi7 0.499 0.747 0.373
Bi8 0.873 0.001 0.253
Pr12 0.821 0.679 0.321
Sm4 0.072 0.572 0.928
Bi9 0.373 0.499 0.747
Bi10 0.747 0.373 0.499
Bi11 0.253 0.873 0.001
Bi12 0.001 0.253 0.873

- formation energy (eV/atom) = -0.834
- polymorph energy (0 for the lowest one) (meV per atom) = 0
- theoretical density (g/cm3) = 8.67

3.
DFT (PBE) results for Pr5Sm2Bi5 after structural relaxation.

Unit cell a=4.578 b=7.888 c=13.260 alpha=109.61 beta=90.00 gamma=106.87
Fractional coordinates of all 12 atoms:
Bi1 0.691 0.382 0.787
Sm1 0.955 0.910 0.213
Pr1 0.500 0.000 0.500
Sm2 0.045 0.090 0.787
Pr2 0.722 0.445 0.342
Bi2 0.119 0.238 0.430
Pr3 0.278 0.555 0.658
Pr4 0.661 0.323 0.037
Bi3 0.000 0.000 0.000
Bi4 0.309 0.618 0.213
Bi5 0.881 0.762 0.570
Pr5 0.339 0.677 0.963

- formation energy (eV/atom) = -0.695
- theoretical density (g/cm3) = 7.93

4.
DFT (PBE) results for PrSm3Bi3 after structural relaxation.

Unit cell a=9.417 b=9.417 c=8.390 alpha=55.86 beta=55.86 gamma=60.00
Fractional coordinates of all 14 atoms:
Pr1 0.666 0.666 0.001
Bi1 0.299 0.533 0.248
Sm1 0.181 0.913 0.253
Sm2 0.653 0.181 0.253
Bi2 0.533 0.920 0.248
Bi3 0.080 0.701 0.752
Bi4 0.920 0.299 0.248
Bi5 0.467 0.080 0.752
Sm3 0.913 0.653 0.253
Sm4 0.819 0.087 0.747
Sm5 0.087 0.347 0.747
Bi6 0.701 0.467 0.752
Pr2 0.334 0.334 0.999
Sm6 0.347 0.819 0.747

- formation energy (eV/atom) = -0.716
- polymorph energy (0 for the lowest one) (meV per atom) = 98
- theoretical density (g/cm3) = 8.25

5.
DFT (PBE) results for Pr2SmBi2 after structural relaxation.

Unit cell a=6.523 b=8.945 c=8.265 alpha=122.76 beta=113.24 gamma=90.00
Fractional coordinates of all 10 atoms:
Sm1 0.250 0.500 0.000
Pr1 0.349 0.992 0.699
Sm2 0.750 0.500 0.000
Bi1 0.390 0.672 0.781
Pr2 0.151 0.293 0.301
Bi2 0.110 0.891 0.219
Pr3 0.849 0.707 0.699
Bi3 0.890 0.109 0.781
Pr4 0.651 0.008 0.301
Bi4 0.610 0.328 0.219

- formation energy (eV/atom) = -0.655
- theoretical density (g/cm3) = 7.89

6.
DFT (PBE) results for Pr2Sm2Bi3 after structural relaxation.

Unit cell a=8.377 b=8.377 c=8.377 alpha=109.47 beta=109.47 gamma=109.47
Fractional coordinates of all 14 atoms:
Bi1 0.880 0.250 0.630
Bi2 0.620 0.750 0.870
Pr1 0.647 0.147 0.147
Sm1 0.500 0.860 0.500
Bi3 0.750 0.630 0.380
Pr2 0.500 0.353 0.500
Sm2 0.360 0.500 0.000
Pr3 0.000 0.000 0.353
Bi4 0.370 0.120 0.750
Pr4 0.853 0.500 0.000
Sm3 0.140 0.640 0.640
Bi5 0.250 0.870 0.120
Sm4 0.000 0.000 0.860
Bi6 0.130 0.380 0.250

- formation energy (eV/atom) = -0.822
- theoretical density (g/cm3) = 8.88

7.
DFT (PBE) results for Pr2SmBi after structural relaxation.

Unit cell a=3.625 b=3.625 c=12.689 alpha=81.79 beta=81.79 gamma=60.00
Fractional coordinates of all 4 atoms:
Pr1 0.087 0.087 0.739
Bi1 0.000 0.000 0.000
Sm1 0.500 0.500 0.500
Pr2 0.913 0.913 0.261

- formation energy (eV/atom) = 0.006
- polymorph energy (0 for the lowest one) (meV per atom) = 438
-- stop --

# Assignment
Please quote the lines above from the one with "0.080 0.752" to the one with "Pr4 0.853" verbatim.

# Written answer
Bi5 0.467 0.080 0.752
Sm3 0.913 0.653 0.253
Sm4 0.819 0.087 0.747
Sm5 0.087 0.347 0.747
Bi6 0.701 0.467 0.752
Pr2 0.334 0.334 0.999
Sm6 0.347 0.819 0.747

- formation energy (eV/atom) = -0.716
- polymorph energy (0 for the lowest one) (meV per atom) = 98
- theoretical density (g/cm3) = 8.25

5.
DFT (PBE) results for Pr2SmBi2 after structural relaxation.

Unit cell a=6.523 b=8.945 c=8.265 alpha=122.76 beta=113.24 gamma=90.00
Fractional coordinates of all 10 atoms:
Sm1 0.250 0.500 0.000
Pr1 0.349 0.992 0.699
Sm2 0.750 0.500 0.000
Bi1 0.390 0.672 0.781
Pr2 0.151 0.293 0.301
Bi2 0.110 0.891 0.219
Pr3 0.849 0.707 0.699
Bi3 0.890 0.109 0.781
Pr4 0.651 0.008 0.301
Bi4 0.610 0.328 0.219

- formation energy (eV/atom) = -0.655
- theoretical density (g/cm3) = 7.89

6.
DFT (PBE) results for Pr2Sm2Bi3 after structural relaxation.

Unit cell a=8.377 b=8.377 c=8.377 alpha=109.47 beta=109.47 gamma=109.47
Fractional coordinates of all 14 atoms:
Bi1 0.880 0.250 0.630
Bi2 0.620 0.750 0.870
Pr1 0.647 0.147 0.147
Sm1 0.500 0.860 0.500
Bi3 0.750 0.630 0.380
Pr2 0.500 0.353 0.500
Sm2 0.360 0.500 0.000
Pr3 0.000 0.000 0.353
Bi4 0.370 0.120 0.750
Pr4 0.853 0.500 0.000